-- Listing --
=====
{"formula": "ErMgTl", "functional": "PBE", "state": "relaxed", "lattice_angstrom": [[3.789, -6.562, 0.000], [3.789, 6.562, 0.000], [0.000, 0.000, 4.596]], "species": ["Er", "Er", "Er", "Mg", "Mg", "Mg", "Tl", "Tl", "Tl"], "fractional_positions": [[0.580, 0.000, 0.000], [0.000, 0.580, 0.000], [0.420, 0.420, 0.000], [0.247, 0.000, 0.500], [0.000, 0.247, 0.500], [0.753, 0.753, 0.500], [0.333, 0.667, 0.500], [0.667, 0.333, 0.500], [0.000, 0.000, 0.000]], "total_energy_ev_per_atom": -3.140, "delta_e_f_ev_per_atom": -0.296}



{"formula": "Tl8Ge5O14", "functional": "PBE", "state": "relaxed", "lattice_angstrom": [[-2.763, -9.268, 1.269], [-1.450, -5.756, -7.740], [11.778, -8.871, -1.741]], "species": ["Tl", "Tl", "Tl", "Tl", "Tl", "Tl", "Tl", "Tl", "Tl", "Tl", "Tl", "Tl", "Tl", "Tl", "Tl", "Tl", "Ge", "Ge", "Ge", "Ge", "Ge", "Ge", "Ge", "Ge", "Ge", "Ge", "O", "O", "O", "O", "O", "O", "O", "O", "O", "O", "O", "O", "O", "O", "O", "O", "O", "O", "O", "O", "O", "O", "O", "O", "O", "O", "O", "O"], "fractional_positions": [[0.823, 0.159, 0.397], [0.841, 0.177, 0.103], [0.177, 0.841, 0.603], [0.159, 0.823, 0.897], [0.379, 0.341, 0.103], [0.659, 0.621, 0.397], [0.621, 0.659, 0.897], [0.341, 0.379, 0.603], [0.554, 0.054, 0.337], [0.946, 0.446, 0.163], [0.446, 0.946, 0.663], [0.054, 0.554, 0.837], [0.677, 0.880, 0.103], [0.120, 0.323, 0.397], [0.323, 0.120, 0.897], [0.880, 0.677, 0.603], [0.520, 0.480, 0.250], [0.480, 0.520, 0.750], [0.297, 0.797, 0.110], [0.203, 0.703, 0.390], [0.703, 0.203, 0.890], [0.797, 0.297, 0.610], [0.250, 0.020, 0.250], [0.980, 0.750, 0.250], [0.750, 0.980, 0.750], [0.020, 0.250, 0.750], [0.213, 0.980, 0.152], [0.020, 0.787, 0.348], [0.787, 0.020, 0.848], [0.980, 0.213, 0.652], [0.553, 0.312, 0.212], [0.688, 0.447, 0.288], [0.447, 0.688, 0.788], [0.312, 0.553, 0.712], [0.424, 0.053, 0.211], [0.947, 0.576, 0.289], [0.576, 0.947, 0.789], [0.053, 0.424, 0.711], [0.812, 0.924, 0.212], [0.076, 0.188, 0.288], [0.188, 0.076, 0.788], [0.924, 0.812, 0.712], [0.480, 0.655, 0.152], [0.345, 0.520, 0.348], [0.520, 0.345, 0.848], [0.655, 0.480, 0.652], [0.661, 0.161, 0.017], [0.839, 0.339, 0.483], [0.339, 0.839, 0.983], [0.161, 0.661, 0.517], [0.287, 0.845, 0.348], [0.155, 0.713, 0.152], [0.845, 0.287, 0.848], [0.713, 0.155, 0.652]], "total_energy_ev_per_atom": -5.425, "delta_e_f_ev_per_atom": -1.659}

~~~~~

Na2ZrGaP3O12: optimized geometry, PBE-GGA.

```
Na2ZrGaP3O12
1.0
8.8776 -0.0434 0.0163
-4.4764 7.6665 -0.0163
0.0419 -0.0242 22.6263
Na O P Zr Ga
12 72 18 6 6
Direct
0.6665 0.3322 0.8287
0.6385 0.6346 0.7483
0.9999 0.9988 0.4954
0.0321 0.6948 0.5816
0.3332 0.6655 0.1621
0.3345 0.6668 0.6621
0.6988 0.0281 0.9150
0.0012 0.0001 0.9954
0.6678 0.3335 0.3287
0.3052 0.9679 0.0816
0.3654 0.3615 0.2483
0.9719 0.3012 0.4150
0.6266 0.1255 0.1368
0.4835 0.3141 0.7448
0.4596 0.1488 0.5295
0.8512 0.5404 0.0295
0.4891 0.3539 0.4215
0.8168 0.9807 0.4114
0.8522 0.3113 0.5258
0.4768 0.1756 0.2434
0.1262 0.4822 0.8629
0.8101 0.8423 0.9100
0.6929 0.5364 0.5315
0.4945 0.6391 0.5772
0.3128 0.8442 0.2549
0.6461 0.5109 0.9215
0.9664 0.1808 0.3093
0.5411 0.7067 0.9702
0.6859 0.5165 0.2448
0.1605 0.4692 0.2562
0.0276 0.8388 0.4105
0.1558 0.6872 0.7549
0.8767 0.5097 0.1400
0.1612 0.9724 0.9105
0.5434 0.8431 0.4734
0.8224 0.0205 0.0882
0.4938 0.1359 0.9228
0.0220 0.8145 0.6924
0.1855 0.9780 0.1924
0.7970 0.9738 0.6982
0.4859 0.3669 0.1426
0.6331 0.5141 0.6426
0.2078 0.0401 0.3035
0.8641 0.5062 0.4228
0.1569 0.4566 0.9734
0.8745 0.3734 0.6368
0.1502 0.6474 0.0781
0.1845 0.2071 0.6962
0.6942 0.1722 0.7438
0.3596 0.8697 0.8648
0.2998 0.8475 0.9760
0.1434 0.5089 0.5767
0.7929 0.8155 0.1962
0.2933 0.4589 0.4702
0.9599 0.7922 0.8035
0.6887 0.1478 0.0258
0.1525 0.7002 0.4760
0.4911 0.8566 0.0767
0.1918 0.0105 0.5894
0.6562 0.1415 0.4227
0.2100 0.1764 0.8067
0.3526 0.8498 0.5781
0.5178 0.8738 0.3629
0.8192 0.0336 0.8093
0.3609 0.5055 0.0772
0.9795 0.1776 0.5882
0.9895 0.8082 0.0894
0.3553 0.4811 0.3591
0.1577 0.1899 0.4100
0.0193 0.1832 0.9114
=====

-- Job --
It remains to work out how many lines above have the word "Ge" in them; a number is enough.

-- Here it is --
1